Thursday, October 27, 2005
tis time to reveal the truth. for the last few weeks i have willingly succumbed to the world of shiny electro infused pop music. the list of current faves may be somewhat different to what you may expect from ireallylovemusic, but, no longer can i hide the fact that the following albums are totally wonderful and thrill me far too much.
- rachel stevens - come and get it. new and very good. involves richard x and xenomania on production. far too good/experimental to be left in the sales bins. this review is spot on.
- holly valance - footprints/state of mind. a little bit of this and a lot of that. electroclash styles mixed with indie friendly attitude.
- girls aloud - sounds of the underground/what will the neighbours say. i mean, the best pop band in the world at this time right now? but of course, more of that xenomania perfection.
- kylie - her recordings post PWL productions are littered with too many classics to be listed.
but, as is the way, the constant supply of glitterball anthems becomes weary, so,to counteract such happiness, one has to delve into the archive and rejoice in the sombre sounds of matt 'the the' johnson, rediscovering the gritty and dark 'nakedself' has been a soul enhancing experience, but a small corner of my head just wants more of that electro-glam groove.
resist. must resist.
message ends.
mark e
Wednesday, October 26, 2005
for those with lives
if i still hit the dancefloor these days, then these are the gangs i would want to join :
manchester : clique
london : bigsexyland
if anybody who reads this rubbish goes, please pass on my regards to whichever dj happens to spin age of chance.
thank you.
mark e
all manner of fun in the sand
firstly, there is the small matter of gorillaz. they have stormed the world with their animated visuals. so i'm sure you all want to see what they do for their 'dirty harry' track, thats to be released in november, links posted on the video page : here
but here's a sneaky peak at the video shoot in action :

as well as this, i have posted reviews for albums by boards of canada, bloc party (remixed!), blockhead, and the wonderful cartoon crossover action of dangerdoom (aka mf doom and danger mouse) : here
a few singles have been taken off the pile and shunted into the outside words : here
i think that's enough for now.
message ends
mark e
Wednesday, October 19, 2005
!! stop the press : shriekback !!
something i never expected arrived today, a new shriekback album.
i realise that there have been other shriekback albums since their period of pop chart threatening behaviour in the 80s, but for some reason those never sounded to be proper releases, and i have never been able to catch up.
however, the new album 'cormorant' is very much a band release. barry andrews as well as martyn barker, wendy partridge and a few others (including old xtc chum andy partridge!) have formed an album which dips into the dark moods of 'big night music' as well as hidden areas of 'oil and gold' and 'jam science', yet still manages to forge ahead with a new style all of its own. barry's vocals dominate, despite the sometimes excessive use of reverb, his vocal technique is as idiosyncratic as ever, as are the lyrics.
a full review will of course be sorted out in the usual place, in the meantime here is more detail : malicious damage records
message ends.
mark e
Tuesday, October 18, 2005
rawkus and lex records : they saved my life
the last few weeks have been all about the rock. i plumped up some hard earned for a led zepplin album deciding it was time to check out what all the fuss is/was about. for a few days i enjoyed the freefall type rock-n-roll. i even jumped onto the new updated version known as audioslave. but within a few days the rot set in. sheer and utter mutherfuggin boredom.
i go through these type of phases.
a look at the backlog did little to appease the situtation.
but slowly things are looking better. weirdly it's my pile of old rawkus albums that seems to be doing the biz. company flow, black star, the high and mighty and the wonderfully filthy smut peddlers have all been spun and enjoyed, the dirty production, the lack of sonic clarity and the mainly non-thug approach really hits the homefront. in a strange twist of fate, as my rediscovery reaches a zenith, i do some digging only to find out that the much maligned label is due for a relaunch.
lets hope they have got their sights on something worthy and not just digging for the dollar.
other things of boredom relief :
- new kingdom. their brand of sludge filled rock-n-rap just works perfectly when the weather turns grey, word reached me a while ago that they guys (with scott harding) were sorting out new stuff, but as ever the trail has gone cold for a while. i guess we wait. watch this space for more detail.
- dangerdoom - cartoons and rap muisc. where is the pain. this collab between danger mouse and mf doom is gonna pay off all mortgage payments for one of hip hops most interesting characters. oh, and i reckon the album is great.
- non-prophets - sage francis and joe beats released this album a while ago on lex, and today it sounds far better than i ever remembered.
yes, ladeeez and gentlemen, the rock is out and the underground leftfield beat is back in, and i feel fine.
next week, i will post a prince po mashup track that was only available on a hip hop connection freebie if anyone is interested.
so until then, ta ra
mark e
Wednesday, October 12, 2005
its not rocket science
short and sweet.
new interview : dave 'ascoltare' henson posted : here. full of good stuff, as well as a definition into the genre that is known as 'plunderphonics', thats gotta be worth a few bytes of anyones time surely.
new reviews : we are scientists and loius xiv both have debut albums out.
mark e
Monday, October 10, 2005
we have no idea
instead of the usual ramblings regarding some freakoids with guitars or samplers waste your time here :
the game has been designed by tom vek and is bloody infuriating.
ok, to give a little extra, hopefully in the near future, ireallylovemusic will have some exclusive interviews with electro noise makers ascoltare, possibly even those naughty glammers loius xiv. oh, and can anyone tell me why all of a sudden i am enjoying old stuff by the warlocks after having them in the pile for ages and never really feeling their style.
game over.
mark e
Wednesday, October 05, 2005
overdosed on beats + noise
the backlog has been eyeing me up for a few weeks now. so today i jumped on the fragger and let rip. so its with great joy i tell you that i have posted words on the following :
- one self. paranoid 12" ep, with some remixes and an exclusive non-lp track.ninjatune of course.
- andrew coleman - demons. glitchy ambient on this weeks fave label, tripel.
- modular presents - leave them all behind. the return of baggy? well not quite, but indie rock meets dance beats. includes full tracklisting.
- baikonour - for the lonely hearts of the cosmos - excellent instrumental grooves that only melodic could release.
oh, and too may forthcoming singles than i care to mention.
mark e
Tuesday, October 04, 2005
the comments count is f*cked ..
.. so anyone interested will have no idea that i dropped this detail into the previous post :
499 to go. let the countdown begin.
mark e
lets have some fun
i aint reviewing anything today. i am on strike.
but instead i'll bring your attention to a couple of things on the sidelines to the world of normal musics.
firstly. ascoltare. i have over the last few years received a few weird bit-n-pieces. but nothing like the latest experimental offering from david gwei-lo aka ascoltare. a heavy weight picture disc 12", with one side by ascoltare, and the other by um (??). having heard quite a bit of the messy electronic playfulness of ascoltare i thought i had aclimatised myself to his worldly ways. ha. this 12" is by far the most interesting artifact (cant really call it a record, or music really) to be squeezed through a letter box of ireallylovemusic hq. the music is a combination of piano, organs, glitch, broken oscilators etc, over which are uk-side tv chefs spouting supreme nonsense over their culinary creations. yes it's the art-istic version of the parker tapes! absolutely wonderful stuff. and just watch those fish spin. flip the record and things are just as weird. so give me a few days to get used to it properly. 500 copies. get fishing now.
then for the light relief mongers can i point you in this direction :
where modular djs join in with the glimmers/optimo/trash action where indie rock and electro fuNckups sit side by side in perfect disharmony. 2 cds, one mixed for party action, the other is untouched so those of us with silver disc polayers get access to all manner of previously vinyl only treats. mixes like this make me seriously miss the days of club going, though i suspect in my vicinity the djs aint spinning this kind of groove. more fool them.
oh, that site i referenced has apparently all sorts of lovely competitions and suchlike, as well as some rather fine design.
i suppose i will get around to reviewing the mix at some point, but hopefully by then you'll all have won yourselves a copy.
mark e
Monday, October 03, 2005
updates for all on a cold and dark night
today was the first day i had to put to put the heating on. great.
anyway, here are some new bits-n-bobs to warm the cockles of your heart.
first and foremost, new friends of james blunt, and soon hopefully the rest of the world, ;the boy least likely to' reissue their debut album to coincide with their tour with the blunt bloke. so, i tracked them down for a few quick easy q's. lucky us.
then in the reviews, its obvious that the students are back in the shops, as record labels are throwing out a lot of distractions.
so to start the ball rolling we have :
+ the amorphous androgynous - alice in ultraland. the return of the epic ambient noise sculptors, future sound of london.
+ t.raumschmiere - blitzgrieg pop, aka extreme pop
+ stevelawler - lights out 3. dance music for the darker sides of life.
+ marconi union - distance. more deep post rock styled ambience from the lovely all saints label.
+ institute - distort yourself. oh joy of joys. grunge is back, thus the return of gavin rossdale should be a warning to us all.
+ skalpel - konfusion. more jazz styled beats from this polish duo.
+ the beta band - music (aka te best of). hold back the tears, the end has been and gone, but recall those glorious times.
+ vacabou - trip hop on the ambient all saint label? oh yes. is it good ? oh yes.
**Records of crystals from another source follow:**
┌──
# 1
# HfMnO3

HfMnO3 at its PBEsol-relaxed geometry (meta-GGA SCAN, the Alexandria database).

Values from the calculation:
* formation energy without anion corrections: -15.30 eV/f.u.
* magnetization: 5.00 μB/f.u.
* DFT total energy: -0.8447 hartree per atom

Unit cell a=5.5021 b=7.8048 c=5.3284 alpha=90.00 beta=90.00 gamma=90.00
Space group Pnma (No. 62)
Asymmetric unit:
1 Hf 0.0000 0.0000 0.0000
2 Mn 0.0405 0.2500 0.4961
3 O 0.0678 0.7500 0.1257
4 O 0.1795 0.5676 0.6743

---

# 2
# HfMnO2

HfMnO2 at its PBEsol-relaxed geometry (meta-GGA SCAN, the Alexandria database).

Values from the calculation:
* formation energy without anion corrections: -8.87 eV/f.u.
* magnetization: 3.30 μB/f.u.
* DFT total energy: -0.9395 hartree per atom

Unit cell a=4.7000 b=4.7000 c=9.7998 alpha=90.00 beta=90.00 gamma=90.00
Space group I-42d (No. 122)
Asymmetric unit:
1 Hf 0.0000 0.0000 0.0000
2 Mn 0.0000 0.0000 0.5000
3 O 0.2345 0.2500 0.1250

---

# 3
# Hf2MnOs

Hf2MnOs at its PBEsol-relaxed geometry (meta-GGA SCAN, the Alexandria database).

Values from the calculation:
* magnetization: 0.32 μB/f.u.
* DFT total energy: -2.0009 hartree per atom
* energy of formation from the pure elements: -576.5 meV/atom

Unit cell a=6.3501 b=6.3501 c=6.3501 alpha=90.00 beta=90.00 gamma=90.00
Space group Fm-3m (No. 225)
Asymmetric unit:
1 Hf 0.2500 0.2500 0.2500
2 Mn 0.0000 0.0000 0.0000
3 Os 0.0000 0.0000 0.5000

---

# 4
# HfMn3P

HfMn3P at its PBEsol-relaxed geometry (meta-GGA SCAN, the Alexandria database).

Values from the calculation:
* magnetization: 4.07 μB/f.u.
* DFT total energy: -0.9407 hartree per atom
* energy of formation from the pure elements: -29.4 meV/atom
* energy above the lowest structure with this stoichiometry: 0 meV/atom

Unit cell a=4.0985 b=4.0985 c=4.0985 alpha=90.00 beta=90.00 gamma=90.00
Space group Pm-3m (No. 221)
Asymmetric unit:
1 Hf 0.0000 0.0000 0.0000
2 Mn 0.0000 0.5000 0.5000
3 P 0.5000 0.5000 0.5000

---

# 5
# Hf3MnP

Hf3MnP at its PBEsol-relaxed geometry (meta-GGA SCAN, the Alexandria database).

Values from the calculation:
* magnetization: 0.00 μB/f.u.
* DFT total energy: -1.5798 hartree per atom
* energy of formation from the pure elements: 346.8 meV/atom

Unit cell a=4.6332 b=4.6332 c=4.6332 alpha=90.00 beta=90.00 gamma=90.00
Space group Pm-3m (No. 221)
Asymmetric unit:
1 Hf 0.0000 0.0000 0.5000
2 Mn 0.0000 0.0000 0.0000
3 P 0.5000 0.5000 0.5000

---

# 6
# HfMn3P

HfMn3P at its PBEsol-relaxed geometry (meta-GGA SCAN, the Alexandria database).

Values from the calculation:
* magnetization: 9.83 μB/f.u.
* DFT total energy: -0.8906 hartree per atom
* energy of formation from the pure elements: 1333.5 meV/atom
* energy above the lowest structure with this stoichiometry: 1363 meV/atom

Unit cell a=4.6196 b=4.6196 c=4.6196 alpha=90.00 beta=90.00 gamma=90.00
Space group Pm-3m (No. 221)
Asymmetric unit:
1 Hf 0.0000 0.0000 0.0000
2 Mn 0.0000 0.0000 0.5000
3 P 0.5000 0.5000 0.5000

---

# 7
# HfMnP
└──
+ the black velvets - hairy old rock and roll. get on down.
sod it. that's enough surely.
message ends.
mark e